Our Colorado Trail Gear Lists: The Comforts and Details

For the most part, our gear has been accumulated through trial and error. For example, Legs went through multiple rain jackets while on the AT, but not because he found he had a preference for something else but because it broke and he needed something else.

Legs says, “My brand loyalty comes from the products not failing me. If I have something it’s because it lasts and has worked for me, not because it’s the newest or lightest or cheapest. I respect companies that make gear that lasts. Because when you’re 15 miles from the nearest town in a thunderstorm and your zipper breaks, you really start thinking about what brands have failed you.”

Shared Items


Most thru hikers I encountered in the beginning started carrying Nalgene water bottles or CamelBak bladders (myself included). By the halfway mark on the AT, only once in a blue moon would you see a hiker without a SmartWater or LIFEWTR bottle. They’re cheap, durable (one lasts upward of 500 miles), and light. The only decision to make is what brand to hold loyalty to. “We’re a LIFEWTR family.”


We use this as a reusable trash bag while on trail. I remember buying packs of disposable ziplock bags just to pack out four or five of them and would dump the rest in a hiker box. The occasional hiker hostel or outdoor store would sell them by the piece! So not having a disposable plastic bag dependency this time around will be a welcome change. The Opsak also keeps the smell in so as not to attract unwanted visitors.

Ferrovia22 KYDITD Shorts

Questionable language aside, these shorts hike with a purpose. Ferrovia 22 is so named for their mission of raising awareness about veteran suicide, the 22 being derived from 22 veterans who commit suicide every day. The founder of the company, Tommy Williams, says this about the shorts. “This phrase means so much to me. My buddies and I used to always talk about ‘kicking something in the dick.’ I thought this would be a funny take on that. When the demons come knocking, I try to do a good job of hiding it. But my family sees the struggle, and fight that I go through.” And before you ask, yes, these do make lots of elderly people stare. Legs says, “Bonus, when I was hiking the AT and hitc hiking into town, people would start to pull off. Then they saw beyond the back of my legs and my short shorts and I could hear them accelerate off past me. It was awesome.”

Darn Tough Socks

The only brand either of us have tried that don’t get holes. They also have a lifetime guarantee and if you ever do manage to destroy them you can get a new pair for free!

Bayer Back and Body

When on trail, everything aches. There were many mornings in my tent I remember barely moving my legs and feeling the sharp soreness through my calves. This definitely helps offset the ache, and also has caffeine to help power you up a few mountains.

Sawyer Micro Squeeze

The best on the market for the rate of flow, weight, and effectiveness. There are so many water filter options out there (I actually started with iodine tablets for my first few weeks on the AT) and this one is consistent and my hands don’t go numb squeezing ice water through my filter for ten minutes!

Oats’ Pack

Sea to Summit Aeros Pillow Ultralight Regular

I tried my hardest to just use clothes as a pillow and drop the couple ounces (because I’m insane) but I wear all my clothes at night to stay warm. This pillow lasted the AT and is easy to clean, too! And trust me, it needs it.

REI Flash Carbon Trekking Poles

I had a TON of pole trouble on the AT, the most unique of which was “resolved” by a generous outdoor store owner who gave me a decades-old ski pole with a cork handle to hike with after one of mine snapped. These ones are Legs’ old pair and hopefully they’ll make it!

Goal Zero Flip 20: 5,200 mAh

This battery bank was able to charge my iPhone 6S last year for three full charges; it only charges my new Android little under two charges.

Legs’ Pack

Snow Peak Folding Titanium Spoon

Legs and I once appeared on Hiking Thru, a popular podcast that features people who had completed or were in the process of completing a thru-hike. In the episode, the host asked us what our favorite piece of gear was. Legs answered quickly, “Oh, definitely my spoon.” She was stunned, I was stunned, and I’m sure everyone who has ever listened to it has been stunned. “It speaks for itself.” Granted, my spoon did break my first day of my thru-hike during lunch. So he may have a point.

Between two parts of the article: quantum chemistry results
'''
1.
C32H26Cl4N4O2RhS4 | ωB97M-V/def2-TZVPD

For the LUMO energy, the calculation gives -0.1436 Ha. The net charge is +1. The HOMO energy comes out at -9.6 eV. The total energy is -140097.441 eV. For the energy above the lowest of the compared OMol25 structures with the same formula, charge and spin, the calculation gives 0.000 eV.

Geometry as XYZ:
```
73
Properties=species:S:1:pos:R:3:lowdin_charge:R:1
O 0.157 -3.413 0.610 -0.240
C 1.864 -4.772 -1.045 -0.320
S -1.028 -4.689 -3.729 1.153
H -1.855 4.780 -2.444 0.116
N 0.332 -3.286 -2.147 -0.038
C -0.332 3.815 5.704 -0.065
H 1.530 6.830 -4.069 0.110
Cl -4.318 -5.845 0.880 0.686
Cl -5.614 -3.246 -0.299 0.683
H 2.196 1.976 3.173 0.144
H 5.299 -3.095 0.917 0.087
N 2.424 -3.625 -0.503 -0.031
C 4.237 -2.870 1.004 -0.084
S 1.559 -0.810 1.224 0.854
H 0.259 -6.557 -2.787 0.091
C -1.953 2.153 5.076 -0.063
C 1.207 1.517 3.107 -0.103
C 1.072 5.921 -3.703 -0.072
H 1.577 3.675 4.731 0.117
C -0.237 5.939 -3.248 -0.067
H -0.520 -1.314 -4.065 0.082
C 0.237 2.135 4.076 -0.246
Cl -3.768 -0.789 -1.037 0.703
H -0.513 1.462 -2.864 0.085
C 0.907 0.683 0.832 -0.574
C 0.586 3.249 4.827 -0.043
C 0.559 0.962 -0.627 -0.600
H -2.939 1.721 5.178 0.111
H 2.194 -6.931 -0.903 0.091
H 1.216 3.543 0.936 0.153
C 0.759 -4.586 -1.975 -0.312
C 1.206 3.566 -3.238 -0.033
H -1.625 2.427 0.579 0.154
S 1.191 -0.029 -1.841 0.786
H 1.766 2.638 -3.244 0.098
C -1.162 -3.442 0.405 -0.377
C 3.422 -3.895 0.296 -0.606
C -1.736 -2.290 -0.143 -0.376
C -1.035 1.584 4.209 -0.033
C -3.342 -4.479 0.500 -0.706
O -0.908 -1.293 -0.494 -0.312
S 3.723 -5.568 0.446 1.134
C -1.248 -1.920 -3.524 -0.072
C -3.103 -2.236 -0.351 -0.602
C -1.957 -4.531 0.712 -0.606
C -3.916 -3.330 -0.025 -0.708
C 1.793 4.733 -3.700 -0.065
C -0.604 -3.180 -3.064 -0.585
H -1.802 2.412 -2.120 0.140
H 4.053 -1.894 0.560 0.051
H -0.053 4.681 6.289 0.110
Cl -1.187 -5.941 1.344 0.717
H -2.081 -2.138 -4.189 0.086
Rh 0.952 -2.037 -0.602 0.808
C -1.601 3.271 5.824 -0.069
C 0.109 -5.493 -2.740 -0.294
H -0.096 3.503 2.127 0.133
H 2.811 4.717 -4.067 0.110
H 3.983 -2.834 2.064 0.089
H -0.913 3.836 -0.236 0.131
C 2.451 -5.920 -0.640 -0.305
N 0.737 1.652 1.711 -0.076
N -0.192 2.007 -0.883 -0.065
H -2.316 3.712 6.505 0.110
C -0.719 2.318 -2.227 -0.097
H -1.308 0.705 3.633 0.123
C -0.697 2.858 0.190 -0.076
H -1.609 -1.359 -2.665 0.032
C 0.336 2.988 1.272 -0.077
C -0.824 4.770 -2.782 -0.049
H -0.804 6.860 -3.261 0.110
C -0.105 3.581 -2.769 -0.220
H 1.317 0.454 3.307 0.080
```

2.
C29H45Cl2N2PSm | ωB97M-V/def2-TZVPD

Its multiplicity is 6. For the LUMO energy (alpha / beta), the calculation gives 0.0836 / 0.0836 Ha. The net charge is -1. The HOMO energy (alpha / beta) comes out at -2.1 / -2.2 eV. The total energy is -86021.680 eV.

Geometry as XYZ:
```
80
Properties=species:S:1:pos:R:3:lowdin_charge:R:1
H 3.573 -0.296 -4.983 0.102
Cl 2.129 0.297 2.556 -0.161
C -0.434 1.754 4.126 -0.536
C -1.443 -3.142 -1.705 -0.215
Sm -0.093 0.257 3.123 0.355
C -3.039 2.064 -1.923 -0.197
N 0.079 -0.920 5.180 -0.062
'''
Here the article continues

MSR Pocket Rocket II and Snow Peak Titanium Pot

This is not a shared item because yours truly chooses to cold camp (hike without a stove). This is where most hikers say, “Oh, well what do you like to cold soak?” referring to the practice of soaking food in water and waiting until it gets soft enough to eat. Well, I don’t, cause that’s gross. But honestly, I’ve discovered that I’m just very very lazy after a day of hiking and cooking is just not in the cards. Peanut butter and tortilla for me, please! On the other hand, Legs loves Outdoor Pantry meals and his stove has always been reliable, especially when I mooched off it for a few months after we met on the AT in New York.

Lighter Pack Gear Lists

There is a great website out there for any hikers looking to figure out their base weight. Base weight refers to your pack weight minus the clothes you wear while hiking and consumables like food and water. Mine is around ten pounds and Legs’ is between seven and eight pounds. Base weight is constantly changing and depends on what items you may pick up along the way and which you choose to send home.

Oats’ Lighter Pack Gear List

Legs’ Lighter Pack Gear List


CT Update: Segments 1-4


Our Colorado Trail Gear Lists: The Big 4